Monday, April 28, 2008

What We're Fixin' To Do...

I love the Spring. All things become new again. The trees are green, the flowers are blooming and best of all.........

The garden gets planted! We're a little behind this year and instead of starting from seed like we had intended, I had to purchase plants.

Can you see our little patch of dirt in the background?

-Tomatoes (3 different kind)
-Jalapeno (because we are spicy kind of people)
-Crooked Neck Yellow Squash (I think their little necks are cute)
-Zucchini Squash (for infinite amounts of zucchini bread)
-Cantaloupe (nothin' better)

We will probably plant some pickling cucumbers (using seeds) too. Because we all know you can't have a plate of freshly picked, sliced tomatoes without a few slices of freshly picked cucumbers as well! Oh, this makes me happy. (Sigh...)

Oh yea, and lettuce too. For plenty of fresh garden salads. And BLT's. And burgers.

Monk will start hoeing rows here shortly and then I will don my 50 spf sunscreen and join him. I'll put my hands in the warm, moist dirt, smelling it's earthy smell that I love (gloves are for sissies) and I'll take my trusty trowel and begin to dig holes for all of my wonderful, new plants.

I'll tenderly give them new residence in the rich, dark soil where we'll eventually watch them grow and produce delicious vegetables and fruits for us to enjoy and give to our friends (anyone remember our bumper crop of Calabaza squash in the Summer of 2006?). I'll cage the tomato plants so they can climb big and tall, giving them the best opportunity to yield plenty of red, ripened goodness.

Then I'll stand back, looking at our accomplishments, dusting the mud from my knees...

and pray that I'll not throw up.


Sadie said...

Sounds fun! I tried gardening last summer with a friend and it was definitely worth it.

mindi said...

Oh how you brought back memories of gardening with Kevin, in our old house. I'm going to have to container garden this year, since I don't have the strength to till!! Every time you share photos, I'll drool!!

Andrea@Sgt and Mrs Hub said...

Looks and sounds great! Have fun!

You crack me up!! I'll pray you don't throw-up as well! :)

Made me laugh....


Anonymous said...

Throw up is not good plant fertilizer!! And, please wear gloves little missy. I understand the feel of the warm earth on your hands...BUT, you're pregnant and you need to wear gloves. This is coming live to you from your big sis in Michigan, who can only drool at the thought of planting. We can't even start until late May. Well most of us don't start until then. There are those few Michiganders who think just because it's warm outside means it's time to plant. Not a pretty site.

What comes next are calculated molecules, not part of the page:
<<<
1.
The following is a quantum chemistry calculation of a structure of composition C19H37ClSi4TeTi, from the Open Molecules 2025 dataset.

M = 588.77 g/mol
2S+1 = 2
charge = -1
orbital gap (spin up / spin down) = 4.5031 / 4.7149 eV
max |F| = 5.31 eV/Å

Each line ends with the Mulliken charge.
Geometry (Å):
C -2.838 -0.943 -0.069  -0.34
C -1.786 -1.112 -1.095  -0.57
C -1.433 0.165 -1.610  0.26
H -1.511 -2.024 -1.676  0.39
C -1.987 1.128 -0.735  -0.71
C -2.948 0.477 0.147  -0.57
H -3.596 1.006 0.867  0.43
H -3.403 -1.784 0.402  0.51
H -0.893 0.351 -2.561  0.43
H -1.944 2.204 -1.016  0.37
Ti -1.266 -0.472 1.128  0.36
Cl 0.011 -2.640 1.173  -0.57
C 2.991 0.175 0.036  -0.41
C 2.508 1.402 -0.524  -0.62
C 1.941 1.132 -1.808  -0.63
H 2.528 2.373 -0.044  0.41
C 2.057 -0.286 -2.051  -0.49
C 2.721 -0.861 -0.920  -0.69
H 2.888 -1.950 -0.762  0.30
H 3.468 0.035 0.988  0.44
H 1.386 1.826 -2.467  0.43
H 1.610 -0.809 -2.918  0.44
C -3.443 0.185 4.391  -0.41
Si -1.979 -0.826 5.021  0.31
C -2.037 -1.049 6.902  -1.02
C -1.952 -2.514 4.207  -0.68
Si -0.014 0.389 4.781  0.08
Te -0.337 1.708 2.530  -0.52
Si -0.041 2.447 5.882  0.29
C -0.029 2.013 7.708  -0.95
C 1.500 3.447 5.437  -0.94
C -1.623 3.393 5.461  -0.94
Si 1.979 -0.803 5.100  0.52
C 1.927 -1.069 6.981  -1.02
C 2.047 -2.478 4.267  -0.85
C 3.439 0.275 4.592  -1.00
H -4.361 -0.397 4.576  0.35
H -3.377 0.390 3.311  -0.20
H -3.541 1.139 4.926  0.22
H -2.931 -1.655 7.131  0.40
H -1.142 -1.577 7.269  0.23
H -2.129 -0.083 7.421  0.17
H -1.973 -2.439 3.108  0.14
H -1.060 -3.089 4.491  0.17
H -2.843 -3.082 4.520  0.36
H 0.891 1.487 7.991  0.25
H -0.074 2.957 8.271  0.40
H -0.891 1.398 7.991  0.19
H 1.589 3.622 4.353  0.27
H 1.445 4.428 5.939  0.36
H 2.412 2.944 5.791  0.25
H -1.735 3.574 4.380  0.30
H -2.510 2.855 5.826  0.22
H -1.593 4.370 5.972  0.37
H 1.013 -1.607 7.282  0.20
H 2.809 -1.677 7.252  0.41
H 1.983 -0.114 7.524  0.19
H 2.188 -2.370 3.183  0.17
H 2.899 -3.054 4.661  0.38
H 1.135 -3.064 4.445  0.26
H 3.360 0.578 3.535  0.23
H 3.513 1.179 5.214  0.28
H 4.371 -0.302 4.721  0.39

2.
The following is a quantum chemistry calculation of a structure of composition C2H5O2Pr, from the Open Molecules 2025 dataset.

M = 201.97 g/mol
2S+1 = 3
charge = +2
orbital gap (spin up / spin down) = 6.2596 / 8.6626 eV
max |F| = 3.60 eV/Å

Each line ends with the Mulliken charge.
Geometry (Å):
O -0.316 0.367 1.176  -0.46
Pr 1.933 0.696 1.385  1.99
C -1.330 -0.708 1.233  -0.55
O 1.558 -0.307 -1.384  -0.43
C 1.151 0.668 -1.980  -0.12
H -1.044 -1.754 1.021  0.32
H -1.683 -0.720 2.283  0.31
H -2.209 -0.519 0.592  0.28
H 1.734 1.091 -2.823  0.32
H 0.206 1.186 -1.503  0.33

3.
The following is a quantum chemistry calculation of a structure of composition C37H79HgN2O15S6, from the Open Molecules 2025 dataset.

M = 1185.03 g/mol
charge = +1
orbital gap = 4.5685 eV
energy above the lowest of the compared OMol25 structures with the same formula, charge and spin = 443.41 kJ/mol
max |F| = 5.39 eV/Å

Each line ends with the Mulliken charge.
>>>
The calculated molecules stop here:

Shelly said...

I would love to plant a small garden if only I could just 2 certain puppies to leave it alone! Maybe down the road when I'm home full-time & can keep an eye on them.

Jedi Miller said...

Old Monk farmer had a farm...

Shelly said...

Edit: I meant to say "if only I could trust 2 certain puppies". Oops!

Sarah said...

Joinin in with you soon I hope. Then we can can tomotatos together. That is if I can keep the plants alive.

homelover2 said...

Thank you for telling me about your experience w/your son's tonsils. I was wondering how long he had the apnea before his operation? What is worrying me is that with our circumstances, my son may not be able to have his removed till September.

Congrats on your newest blessing too!
from Homekeeping Heart